
Burp suite: Intruder


When we are hunting, we sometimes find requests that are interesting to us but they might not be directly usefull due to some system filtering our input like a WAF for example or due to a range of other possibilties. In some of these cases, burp intruder might bring rescue. If we want to try many different payloads quickly, intruder is going to be the perfect tool for us as it is very flexible and it has a range of other options.

Sending a request to the intruder

We can build the requests we want to send to the intruder manually each time but that would not be very efficient. Instead we have the option to send requests to the intruder from anywhere within burp if we right click them.

Note that we can also use the shortcut ctrl - i

Target tab

This tab is where we define the properties of our target. We can set things like host or port and whether or not to use HTTPS. This can be usefull for example if we want to execute the same attack but on a different target. (For example a production and a staging subdomain)


  1. The attack type will determine how intruder will handle our payloads. These are the ones i use most
    1. Sniper: One list of payloads which be inserted into every single value. Combinations will be made of all different items on the list. This means that if we have a big list and a lot of parameters we are going to have exponentially more requests and our attack will take a lot longer.
    1. Battering ram: It also uses one list but it will insert the same payload into every position. So for example if our list is a,b,c and we have 3 parameters it will first set all parameters to a, then to b and finally to c.
    1. Pitchfork: This attack uses as much lists of payloads as there are parameters. This attack type will go through the lists and put every value into the parameters. For example if we have 3 parameters, we will need 3 lists. If we have 10 values in our list, the attack will first pick the first value from all the lists and put it in the respective parameter. Next it will move on to the second item in the lists and so on.
    1. Cluster bomb: This also uses as much lists as there are parameters but this method will test every combination of list items possible. This attack takes a long time as you can imagine.
  1. This is where we define our parameters. By default the cookies are also selected as parameters. I usually click click in the next step and add my parameters from a blank entry.
  1. We can add, remove or clear parameters that we want to test. Auto assigning the template will again assign every parameter burp suite can find.

If our website is really big, we can also search the source code at the bottom of the page.


Payload sets

We will have as many payload sets in here as we selected parameters previously if we picked pitchfork or clusterbomb attack forms. Otherwise we will always only have one list available.

The type of list can very. I'm going to go over some popular ones but they speak for themselves.

Payload options

Depending on what payload type you pick, this will differ. One noteable option for the simple list is the option to include fuzzing lists created by burp suite.

Payload processing

Sometimes we want our payloads to be processed by certain rules before we send them in. For example, some targets require us to base64 encode our payload, this is possible with the payload processings.

We can pick from several different rule types, most speak for themselved.

One noteable option we have here is that we can invoke Burp extensions which means we can even write our own code to process the payloads if a target uses custom stuff we can't do with the already existing options.

Payload encodings

_Next to the article, the page also holds data records_
/*
No. 1
Compound: Ca4MgB4C2O18
Source: the Materials Project database
Functional: PBE
Structure: optimized geometry

ΔE_f: -2.469 eV/atom
density: 2.7 g/cm³

a b c (Å): 18.516 7.980 4.571
angles (deg): 90.00 104.13 90.00
Space group C2/m (No. 12)
Symmetry-distinct sites (fractional):
Ca 0.158 0.234 0.146 (multiplicity 8)
Mg 0.000 0.000 0.000 (multiplicity 2)
B 0.000 0.258 0.500 (multiplicity 4)
B 0.097 0.000 0.557 (multiplicity 4)
C 0.194 0.500 0.631 (multiplicity 4)
O 0.046 0.352 0.752 (multiplicity 8)
O 0.052 0.152 0.376 (multiplicity 8)
O 0.097 0.000 0.868 (multiplicity 4)
O 0.157 0.500 0.355 (multiplicity 4)
O 0.167 0.000 0.489 (multiplicity 4)
O 0.213 0.359 0.770 (multiplicity 8)

No. 2
Compound: Ca24Mg8B16C8O73
Source: the Materials Project database
Functional: PBE
Structure: optimized geometry

ΔE_f: -3.005 eV/atom
density: 2.6 g/cm³

a b c (Å): 14.875 14.881 14.874
angles (deg): 90.00 90.00 90.00
Space group C222 (No. 21)
Symmetry-distinct sites (fractional):
Ca 0.000 0.000 0.238 (multiplicity 4)
Ca 0.000 0.238 0.000 (multiplicity 4)
Ca 0.000 0.262 0.500 (multiplicity 4)
Ca 0.000 0.500 0.262 (multiplicity 4)
Ca 0.012 0.250 0.250 (multiplicity 8)
Ca 0.238 0.000 0.000 (multiplicity 4)
Ca 0.238 0.500 0.500 (multiplicity 4)
Ca 0.250 0.012 0.250 (multiplicity 8)
Ca 0.250 0.250 0.012 (multiplicity 4)
Ca 0.250 0.250 0.488 (multiplicity 4)
Mg 0.125 0.125 0.125 (multiplicity 8)
Mg 0.125 0.375 0.375 (multiplicity 8)
B 0.091 0.091 0.909 (multiplicity 8)
B 0.092 0.408 0.592 (multiplicity 8)
B 0.158 0.158 0.342 (multiplicity 8)
B 0.158 0.342 0.158 (multiplicity 8)
C 0.125 0.125 0.625 (multiplicity 8)
C 0.125 0.375 0.875 (multiplicity 8)
O 0.000 0.000 0.000 (multiplicity 2)
O 0.015 0.134 0.874 (multiplicity 8)
O 0.015 0.367 0.625 (multiplicity 8)
O 0.064 0.125 0.686 (multiplicity 8)
O 0.064 0.375 0.813 (multiplicity 8)
O 0.117 0.235 0.375 (multiplicity 8)
O 0.117 0.265 0.125 (multiplicity 8)
O 0.125 0.117 0.265 (multiplicity 8)
O 0.125 0.186 0.564 (multiplicity 8)
O 0.125 0.314 0.936 (multiplicity 8)
O 0.125 0.383 0.235 (multiplicity 8)
O 0.125 0.485 0.633 (multiplicity 8)
O 0.126 0.015 0.866 (multiplicity 8)
O 0.133 0.375 0.515 (multiplicity 8)
O 0.135 0.126 0.984 (multiplicity 8)
O 0.186 0.064 0.625 (multiplicity 8)
O 0.186 0.437 0.875 (multiplicity 8)
O 0.235 0.125 0.383 (multiplicity 8)
O 0.235 0.375 0.117 (multiplicity 8)

No. 3
Compound: CaB3C6O6
Source: the Materials Project database
Functional: PBE
Structure: optimized geometry

ΔE_f: -0.372 eV/atom
density: 0.4 g/cm³

a b c (Å): 6.047 6.883 24.825
angles (deg): 87.37 84.06 76.04
Space group P-1 (No. 2)
Symmetry-distinct sites (fractional):
Ca 0.000 0.000 0.000 (multiplicity 1)
B 0.000 0.000 0.500 (multiplicity 1)
B 0.000 0.500 0.000 (multiplicity 1)
B 0.500 0.500 0.000 (multiplicity 1)
C 0.092 0.015 0.743 (multiplicity 2)
C 0.169 0.611 0.996 (multiplicity 2)
C 0.355 0.697 0.984 (multiplicity 2)
O 0.019 0.181 0.757 (multiplicity 2)
O 0.165 0.849 0.729 (multiplicity 2)
*/

By default, burp will url encode a number of characters. This is a good thing as it makes sure we don't trigger any errors on the webserver. In rare cases we might want to disable this option but beware that it might trigger a lot of errors if have a bad list.


Request headers

If you change something in the body of a request, something headers should change as well like the content length. Burp suite will automatically do this for us and we can find that option here.

Request engine

This is the most important setting. Some targets will say things like "No automatic scanners allowed". This doesn't mean we can't fuzz perse but we just need to limit our request very much. We can throttle our requests here and tweak several settings such as number of threads or pauses.

Attack results

This section determines what results are being logged. This can be handy if you are trying to execute a DoS for example. If intruder needs to log stuff, that takes time and if we want to DoS an application, we need to send as much requests as possible. This is something you should rarely if ever do however at full speed as a crashing server in production could spell disaster.


Sometimes a website will return a redirection. If that response is the exact same for logged in users as it is for non logged in uses, we might need to follow that redirect to see a difference in responses, this option makes that possible for us.

Grep - Matches

This option allows us to flag specific requests if the response has texts matching the ones we give it in the list. This can be useful for example if you are looking for SQli and expecting a SQL error, you might want to look for a word resembling "SQL" automatically and flag the results.

  1. Be aware, you do need to activate this function, it's not active by default
  1. You can Paste a list from your clipboard, load it from a file, remove a specific item from the list or clear the whole list
  1. Add one item to the list
  1. We can either match for full strings or we can even match regular expressions